IT is arguably the most important textual document in Scottish history, but not even its staunchest defenders could claim that the all-Latin 1320 Declaration of Arbroath is up to date.

A group of Yes campaigners, while recognising its importance, have come up with a renewed Declaration of Arbroath and it is already attracting approval within the Yes DIY movement. It was published and first signed on April 8 at Arbroath Abbey.

The new declaration reads: “With my signature on this document I herewith claim my sovereign right as a native of the nation of Scotland.

“This sovereignty is mine by birth as claimed for the first time in the universally accepted Declaration of Arbroath dated April 6 1320.

“No person or institution can relieve this from my person because though it can be lent it can never be ceded. I recognise no parliament other than the people’s parliament at Holyrood in the city of Edinburgh and then only as the executive of my sovereignty and not as the subordinate to any other parliament, government nor institution.

“Attempts have been made to usurp my birthright by subterfuge, deceit and legal trickery without consideration that these hold no power equal to that which I as a sovereign Scot do hold.

“I hereby claim my right under the Declaration of Arbroath 1320 to overthrow the tyranny of the false rule of Westminster and to allow the sovereign will of the Scottish people to be tested without hindrance by way of a people’s plebiscite.

Next to the text, the page also holds crystal structures
No. 1
A plane-wave DFT calculation with PBE-GGA was carried out for a relaxed LiCd3Pb crystal.

```
LiCd3Pb
1.0
4.9834 0.0000 0.0000
0.0000 4.9834 0.0000
0.0000 0.0000 4.9834
Li Cd Pb
1 3 1
direct
0.0000 0.0000 0.0000 Li
0.0000 0.0000 0.5000 Cd
0.0000 0.5000 0.0000 Cd
0.5000 0.0000 0.0000 Cd
0.5000 0.5000 0.5000 Pb
```

Computed properties:
Energy of formation ... 0.1763 eV per atom
SG ... No. 221
Theoretical density ... 7.40 Mg/m³

***

No. 2
A plane-wave DFT calculation with PBE-GGA was carried out for a relaxed Y2TaAs crystal.

```
Y2TaAs
1.0
4.8418 0.0000 0.0000
0.0000 4.8418 0.0000
0.0000 0.0000 3.9039
Y Ta As
2 1 1
direct
0.0000 0.5000 0.0000 Y
0.5000 0.0000 0.0000 Y
0.0000 0.0000 0.5000 Ta
0.5000 0.5000 0.5000 As
```

Computed properties:
Energy of formation ... -0.1145 eV per atom
SG ... No. 123
Theoretical density ... 7.87 Mg/m³


The following is a DFT calculation (GGA+U) of an optimized crystal structure of TeMoPO2.

a b c (Å): 3.8704 3.8704 5.7824
angles (deg): 90.00 90.00 90.00
Fractional coordinates of all 5 atoms:
1 P 0.0000 0.0000 0.5000
2 Mo 0.0000 0.0000 0.0000
3 Te 0.5000 0.5000 0.5000
4 O 0.0000 0.5000 0.0000
5 O 0.5000 0.0000 0.0000

- Energy above the most stable polymorph in this dataset: 0.0 meV/atom
- Crystal system: tetragonal
- Space group: No. 123
- Total energy: -28.4 eV/f.u.
- Density: 5.49 g/cm3

“This plebiscite should be on whether to dissolve the Treaties and Acts of Union with England who have acted not as partners in a joint venture but as a colonial power who have attempted by surreptitious means to deny our birthright by claiming it for their parliament.”

The declaration has been signed so far by more than 100 people with more adding their signatures each day. The intention is to send the declaration to the United Nations.

Originator Dave Llewellyn said: “I am being inundated by requests from people to be able to sign who could not get to Arbroath.

“Each declaration is on a single page which will be bound into a book preceded by an original Latin copy and translation of the 1320 declaration to which the new pages with the signatures will be attached.”

An addendum to the book will come in the form of the United Nations Convention 1514 (XV), which was passed by the General Assembly in December 1960 despite nine abstentions, including those from the UK, Spain and the USA. The convention allows for the de-colonisation and independence of peoples and re-affirmed the right to self-determination.

Llewellyn added: “The book will be sent to the secretary general of the UN asking them to recognise our sovereignty as a people.”